_Input_
____________
Record 1
The following is a PBE calculation of crystalline Pm12PbAu6 at its relaxed geometry, from Alexandria via LeMat-Bulk.

As for the total energy: -4.60 eV/atom. Its formation energy is -0.3680 eV/atom. Its total magnetization is 0.00 μB per formula unit.

```
data_Pm12PbAu6
_chemical_formula_sum 'Pm36 Pb3 Au18'
_cell_length_a 13.6099
_cell_length_b 13.6099
_cell_length_c 11.9565
_cell_angle_alpha 90.00
_cell_angle_beta 90.00
_cell_angle_gamma 120.00
_symmetry_space_group_name_H-M 'R -3'
_symmetry_Int_Tables_number 148
_symmetry_space_group_name_Hall '-R 3'
loop_
_atom_site_label
_atom_site_fract_x
_atom_site_fract_y
_atom_site_fract_z
Pm1 0.0321 0.2116 0.3901
Pm2 0.0356 0.2226 0.8899
Pb1 0.0000 0.0000 0.0000
Au1 0.0409 0.2549 0.6456
```

***

Record 2
The following is a PBE calculation of crystalline MgSnSb at its relaxed geometry, from Alexandria via LeMat-Bulk.

As for the total energy: -3.35 eV/atom. As for the formation energy without anion corrections: -32.5 kJ/mol of formula units. Its total magnetization is 0.00 μB per formula unit.

```
data_MgSnSb
_chemical_formula_sum 'Mg4 Sn4 Sb4'
_cell_length_a 6.500
_cell_length_b 6.485
_cell_length_c 8.433
_cell_angle_alpha 90.00
_cell_angle_beta 110.00
_cell_angle_gamma 90.00
_symmetry_space_group_name_H-M 'C 1 2/m 1'
_symmetry_Int_Tables_number 12
loop_
_symmetry_equiv_pos_as_xyz
'x,y,z'
'-x,-y,-z'
'-x,y,-z'
'x,-y,z'
'x+1/2,y+1/2,z'
'-x+1/2,-y+1/2,-z'
'-x+1/2,y+1/2,-z'
'x+1/2,-y+1/2,z'
loop_
_atom_site_label
_atom_site_fract_x
_atom_site_fract_y
_atom_site_fract_z
Mg1 0.000 0.248 0.000
Sn1 0.101 0.500 0.691
Sb1 0.142 0.000 0.753
```

***

Record 3
The following is a PBE calculation of crystalline CaHgP2O at its relaxed geometry, from Alexandria via LeMat-Bulk.

As for the total energy: -3.12 eV/atom. As for the formation energy without anion corrections: 241.4 kJ/mol of formula units. As for the energy above the most stable polymorph in this dataset: 216.3 meV/atom. Its total magnetization is 0.66 μB per formula unit.

```
data_CaHgP2O
_chemical_formula_sum 'Ca1 Hg1 P2 O1'
_cell_length_a 5.428
_cell_length_b 5.428
_cell_length_c 4.173
_cell_angle_alpha 90.00
_cell_angle_beta 90.00
_cell_angle_gamma 90.00
_symmetry_space_group_name_H-M 'P 4/m m m'
_symmetry_Int_Tables_number 123
_symmetry_space_group_name_Hall '-P 4 2'
loop_
_atom_site_label
_atom_site_fract_x
_atom_site_fract_y
_atom_site_fract_z
Ca1 0.000 0.000 0.000
Hg1 0.500 0.500 0.500
P1 0.000 0.500 0.000
O1 0.000 0.000 0.500
```

***

Record 4
The following is a PBE calculation of crystalline LiFeSbRh at its relaxed geometry, from Alexandria via LeMat-Bulk.

As for the total energy: -5.68 eV/atom. As for the formation energy without anion corrections: -83.5 kJ/mol of formula units. Its total magnetization is 0.20 μB per formula unit.

```
data_LiFeSbRh
_chemical_formula_sum 'Li4 Fe4 Sb4 Rh4'
_cell_length_a 6.064
_cell_length_b 6.064
_cell_length_c 6.064
_cell_angle_alpha 90.00
_cell_angle_beta 90.00
_cell_angle_gamma 90.00
_symmetry_space_group_name_H-M 'F -4 3 m'
_symmetry_Int_Tables_number 216
_symmetry_space_group_name_Hall 'F -4 2 3'
loop_
_atom_site_label
_atom_site_fract_x
_atom_site_fract_y
_atom_site_fract_z
Li1 0.000 0.000 0.000
Fe1 0.250 0.250 0.750
Sb1 0.000 0.000 0.500
Rh1 0.250 0.250 0.250
```

----------

(1)
The following is a PBE calculation of crystalline AlGeHAu2 at its relaxed geometry, from Alexandria.

Cell: 4.918 4.918 4.922 Å, 90.00 90.00 90.00°
Space group P4/mmm (No. 123)
Symmetry-distinct sites (fractional):
Al (0.000, 0.000, 0.000) [1 per cell]
Ge (0.000, 0.000, 0.500) [1 per cell]
H (0.500, 0.500, 0.500) [1 per cell]
Au (0.000, 0.500, 0.000) [2 per cell]

The density of states at the Fermi level is 1.88 states/eV/cell. The total energy is -2.83 eV/atom.



(2)
The following is a PBE calculation of crystalline Be3BBr at its relaxed geometry, from Alexandria.

Cell: 4.263 4.263 4.263 Å, 90.00 90.00 90.00°
Space group Pm-3m (No. 221)
Symmetry-distinct sites (fractional):
____________
_Wanted_
Your job: find the line above that holds "_symmetry_equiv_pos_as_xyz", then type out that line and all lines after it there.
_Solution_
_symmetry_equiv_pos_as_xyz
'x,y,z'
'-x,-y,-z'
'-x,y,-z'
'x,-y,z'
'x+1/2,y+1/2,z'
'-x+1/2,-y+1/2,-z'
'-x+1/2,y+1/2,-z'
'x+1/2,-y+1/2,z'
loop_
_atom_site_label
_atom_site_fract_x
_atom_site_fract_y
_atom_site_fract_z
Mg1 0.000 0.248 0.000
Sn1 0.101 0.500 0.691
Sb1 0.142 0.000 0.753
```

***

Record 3
The following is a PBE calculation of crystalline CaHgP2O at its relaxed geometry, from Alexandria via LeMat-Bulk.

As for the total energy: -3.12 eV/atom. As for the formation energy without anion corrections: 241.4 kJ/mol of formula units. As for the energy above the most stable polymorph in this dataset: 216.3 meV/atom. Its total magnetization is 0.66 μB per formula unit.

```
data_CaHgP2O
_chemical_formula_sum 'Ca1 Hg1 P2 O1'
_cell_length_a 5.428
_cell_length_b 5.428
_cell_length_c 4.173
_cell_angle_alpha 90.00
_cell_angle_beta 90.00
_cell_angle_gamma 90.00
_symmetry_space_group_name_H-M 'P 4/m m m'
_symmetry_Int_Tables_number 123
_symmetry_space_group_name_Hall '-P 4 2'
loop_
_atom_site_label
_atom_site_fract_x
_atom_site_fract_y
_atom_site_fract_z
Ca1 0.000 0.000 0.000
Hg1 0.500 0.500 0.500
P1 0.000 0.500 0.000
O1 0.000 0.000 0.500
```

***

Record 4
The following is a PBE calculation of crystalline LiFeSbRh at its relaxed geometry, from Alexandria via LeMat-Bulk.

As for the total energy: -5.68 eV/atom. As for the formation energy without anion corrections: -83.5 kJ/mol of formula units. Its total magnetization is 0.20 μB per formula unit.

```
data_LiFeSbRh
_chemical_formula_sum 'Li4 Fe4 Sb4 Rh4'
_cell_length_a 6.064
_cell_length_b 6.064
_cell_length_c 6.064
_cell_angle_alpha 90.00
_cell_angle_beta 90.00
_cell_angle_gamma 90.00
_symmetry_space_group_name_H-M 'F -4 3 m'
_symmetry_Int_Tables_number 216
_symmetry_space_group_name_Hall 'F -4 2 3'
loop_
_atom_site_label
_atom_site_fract_x
_atom_site_fract_y
_atom_site_fract_z
Li1 0.000 0.000 0.000
Fe1 0.250 0.250 0.750
Sb1 0.000 0.000 0.500
Rh1 0.250 0.250 0.250
```

----------

(1)
The following is a PBE calculation of crystalline AlGeHAu2 at its relaxed geometry, from Alexandria.

Cell: 4.918 4.918 4.922 Å, 90.00 90.00 90.00°
Space group P4/mmm (No. 123)
Symmetry-distinct sites (fractional):
Al (0.000, 0.000, 0.000) [1 per cell]
Ge (0.000, 0.000, 0.500) [1 per cell]
H (0.500, 0.500, 0.500) [1 per cell]
Au (0.000, 0.500, 0.000) [2 per cell]

The density of states at the Fermi level is 1.88 states/eV/cell. The total energy is -2.83 eV/atom.



(2)
The following is a PBE calculation of crystalline Be3BBr at its relaxed geometry, from Alexandria.

Cell: 4.263 4.263 4.263 Å, 90.00 90.00 90.00°
Space group Pm-3m (No. 221)
Symmetry-distinct sites (fractional):